-- Brief --
Filter the listing further down: keep the lines with the word "Pb", please.
-- Entries --
/*
The following is a PBE calculation of PuMg2Pb4 after structural relaxation, from Alexandria.

Geometry as POSCAR:
```
PuMg2Pb4
1.0
3.9298 -5.2186 0.0000
3.9298 5.2186 0.0000
0.0000 0.0000 4.9197
Pu Mg Pb
1 2 4
direct
0.0000 0.0000 0.0000
0.2304 0.7696 0.5000
0.7696 0.2304 0.5000
0.0000 0.5000 0.0000
0.2906 0.2906 0.5000
0.5000 0.0000 0.0000
0.7094 0.7094 0.5000
```

Summary:
Crystal system: orthorhombic
Symmetry: No. 65
Energy of formation from the pure elements: -4 kJ per mole of atoms
Size of the total moment: 5.7 Bohr magnetons per cell

=====

The following is a PBE calculation of Ti5MnGa2 after structural relaxation, from Alexandria.

Geometry as POSCAR:
```
Ti5MnGa2
1.0
-2.2712 2.2712 5.9655
2.2712 -2.2712 5.9655
2.2712 2.2712 -5.9655
Ti Mn Ga
5 1 2
direct
0.0000 0.0000 0.0000
0.1182 0.6182 0.5000
0.3818 0.8818 0.5000
0.6182 0.1182 0.5000
0.8818 0.3818 0.5000
0.5000 0.5000 0.0000
0.2507 0.2507 0.0000
0.7493 0.7493 0.0000
```

Summary:
Crystal system: tetragonal
Symmetry: No. 139
Energy of formation from the pure elements: -28 kJ per mole of atoms
Size of the total moment: 0.0 Bohr magnetons per cell

=====

The following is a PBE calculation of Ca2ScTa after structural relaxation, from Alexandria.

Geometry as POSCAR:
```
Ca2ScTa
1.0
-1.6737 2.7391 5.8612
1.6737 -2.7391 5.8612
1.6737 2.7391 -5.8612
Ca Sc Ta
2 1 1
direct
0.2322 0.2322 0.0000
0.7678 0.7678 0.0000
0.5000 0.0000 0.5000
0.0000 0.5000 0.5000
```

Summary:
Crystal system: orthorhombic
Symmetry: No. 71
Energy of formation from the pure elements: 63 kJ per mole of atoms
Size of the total moment: 0.0 Bohr magnetons per cell
Energy relative to the lowest polymorph listed for this composition: 296 meV per atom

=====

The following is a PBE calculation of BaLiS2O after structural relaxation, from Alexandria.

Geometry as POSCAR:
```
BaLiS2O
1.0
4.9820 0.0000 0.0000
0.0000 4.9820 0.0000
0.0000 0.0000 3.9464
Ba Li S O
1 1 2 1
direct
0.0000 0.0000 0.0000
0.5000 0.5000 0.0000
0.0000 0.5000 0.5000
0.5000 0.0000 0.5000
0.5000 0.5000 0.5000
```

Summary:
Crystal system: tetragonal
Symmetry: No. 123
Size of the total moment: 0.0 Bohr magnetons per cell
Formation energy from raw total energies: -0.9403 eV/atom
*/
-- Done --
Pu Mg Pb